Work order:
Could you filter the lines below: keep the lines with the word "sorted"?
Input:
-- begin --
(1)
# In2WO6
Calculated powder diffraction line list, Cu Kα. Input: a structure optimized by DFT (GGA+U).
Lines closer than 0.1° are merged.

Cell and atoms:
```
data_In2WO6
_space_group_name_H-M_alt 'P 21 21 21'
_space_group_IT_number 19
_cell_length_a 5.004
_cell_length_b 9.095
_cell_length_c 10.284
_cell_angle_alpha 90.00
_cell_angle_beta 90.00
_cell_angle_gamma 90.00
loop_
_space_group_symop_operation_xyz
'x,y,z'
'-x+1/2,-y,z+1/2'
'x+1/2,-y+1/2,-z'
'-x,y+1/2,-z+1/2'
loop_
_atom_site_label
_atom_site_fract_x
_atom_site_fract_y
_atom_site_fract_z
In1 0.006 0.191 0.353
In2 0.015 0.632 0.571
W1 0.014 0.506 0.862
O1 0.186 0.844 0.551
O2 0.199 0.985 0.793
O3 0.217 0.539 0.025
O4 0.222 0.651 0.770
O5 0.224 0.149 0.557
O6 0.232 0.650 0.324
```

Peak list (8 most intense, 2θ from 5° to 70°, sorted by position)
| 2θ (°) | Rel. int. | hkl |
| --- | --- | --- |
| 26.49 | 51.5 | 1 2 0 |
| 26.72 | 63.1 | 1 1 2 |
| 27.88 | 100.0 | 1 2 1 |
| 33.17 | 52.8 | 1 1 3 |
| 34.34 | 54.0 | 0 3 2 |
| 35.89 | 27.4 | 2 0 0 |
| 50.52 | 58.2 | 2 3 2 |
| 52.11 | 25.4 | 1 2 5 |

=====

(2)
# In2WO6
Calculated powder diffraction line list, Cu Kα. Input: a structure optimized by DFT (GGA+U).
Lines closer than 0.1° are merged.

Cell and atoms:
```
data_In2WO6
_space_group_name_H-M_alt 'P 1 2/c 1'
_space_group_IT_number 13
_cell_length_a 7.504
_cell_length_b 5.194
_cell_length_c 11.882
_cell_angle_alpha 90.00
_cell_angle_beta 97.36
_cell_angle_gamma 90.00
loop_
_space_group_symop_operation_xyz
'x,y,z'
'-x,-y,-z'
'-x,y,-z+1/2'
'x,-y,z+1/2'
loop_
_atom_site_label
_atom_site_fract_x
_atom_site_fract_y
_atom_site_fract_z
In1 0.000 0.206 0.250
In2 0.268 0.264 0.896
In3 0.500 0.280 0.250
W1 0.236 0.232 0.607
O1 0.001 0.090 0.618
O2 0.165 0.395 0.471
O3 0.191 0.489 0.727
O4 0.292 0.006 0.263
O5 0.341 0.063 0.053
O6 0.471 0.412 0.626
```

Peak list (8 most intense, 2θ from 5° to 70°, sorted by position)
| 2θ (°) | Rel. int. | hkl |
| --- | --- | --- |
| 23.91 | 17.7 | 2 0 0 |
| 28.49 | 100.0 | 0 1 3 |
| 29.72 | 68.4 | 2 1 -1 |
| 31.29 | 26.0 | 2 1 1 |
| 34.54 | 22.2 | 0 2 0 |
| 36.39 | 16.3 | 2 0 -4 |
| 51.04 | 25.2 | 2 2 -4 |
| 58.95 | 14.7 | 2 3 -1 |

=====

Repeat the second record exactly.
# In2WO6
Calculated powder diffraction line list, Cu Kα. Input: a structure optimized by DFT (GGA+U).
Lines closer than 0.1° are merged.

Cell and atoms:
```
data_In2WO6
_space_group_name_H-M_alt 'P 1 2/c 1'
_space_group_IT_number 13
_cell_length_a 7.504
_cell_length_b 5.194
_cell_length_c 11.882
_cell_angle_alpha 90.00
_cell_angle_beta 97.36
_cell_angle_gamma 90.00
loop_
_space_group_symop_operation_xyz
'x,y,z'
'-x,-y,-z'
'-x,y,-z+1/2'
'x,-y,z+1/2'
loop_
_atom_site_label
_atom_site_fract_x
_atom_site_fract_y
_atom_site_fract_z
In1 0.000 0.206 0.250
In2 0.268 0.264 0.896
In3 0.500 0.280 0.250
W1 0.236 0.232 0.607
O1 0.001 0.090 0.618
O2 0.165 0.395 0.471
O3 0.191 0.489 0.727
O4 0.292 0.006 0.263
O5 0.341 0.063 0.053
O6 0.471 0.412 0.626
```

Peak list (8 most intense, 2θ from 5° to 70°, sorted by position)
| 2θ (°) | Rel. int. | hkl |
| --- | --- | --- |
| 23.91 | 17.7 | 2 0 0 |
| 28.49 | 100.0 | 0 1 3 |
| 29.72 | 68.4 | 2 1 -1 |
| 31.29 | 26.0 | 2 1 1 |
| 34.54 | 22.2 | 0 2 0 |
| 36.39 | 16.3 | 2 0 -4 |
| 51.04 | 25.2 | 2 2 -4 |
| 58.95 | 14.7 | 2 3 -1 |
-- stop --
Written answer:
Peak list (8 most intense, 2θ from 5° to 70°, sorted by position)
Peak list (8 most intense, 2θ from 5° to 70°, sorted by position)
Peak list (8 most intense, 2θ from 5° to 70°, sorted by position)